Input:
[1]
# Fe5CoP6O24
Theoretical powder diffraction line list, a wavelength of 1.5418 Å. Input: a structure optimized by DFT (PBE+U).

Top 10 peaks for 5 to 70 degrees two-theta, sorted by position:
d (Å)	2θ (°)	intensity
4.301	20.65	95
3.624	24.56	100
2.789	32.10	16
2.651	33.82	73
2.483	36.17	43
1.879	48.43	31
1.812	50.35	28
1.626	56.62	26
1.599	57.66	16
1.464	63.56	23

Structural model:
```
36
Lattice="4.3009 2.4831 6.7312 -4.3009 2.4831 6.7312 0.0000 -4.9663 6.7312" Properties=species:S:1:pos:R:3 pbc="T T T"
Fe 0.0000 0.0000 0.0000
Fe 0.0000 0.0000 2.9024
Fe 0.0000 0.0000 7.1021
Fe 0.0000 0.0000 10.0468
Fe 0.0000 0.0000 13.0124
Co 0.0000 0.0000 17.3354
P -1.7979 -2.4688 8.4190
P -3.0299 0.2433 11.7117
P -1.2391 2.7915 8.4190
P 1.3043 -2.7456 11.7117
P 3.0370 -0.3226 8.4190
P 1.7256 2.5023 11.7117
O -2.6307 -2.4991 9.6834
O -0.8573 -3.7222 8.1692
O -3.6580 -1.1941 11.9282
O -1.7386 -0.0216 6.2525
O -3.5185 0.9517 10.4674
O -0.8204 -1.2454 8.6194
O -2.7949 2.6036 8.1692
O 0.8880 -1.4948 6.2525
O 0.9351 -3.5230 10.4674
O -1.4905 0.0457 11.5067
O -0.6683 1.3332 8.6194
O -0.7543 -1.5232 13.8671
O 0.8506 1.5164 6.2525
O 0.7057 -1.3137 11.5067
O 1.4887 -0.0878 8.6194
O -0.8490 3.5278 9.6834
O -0.9420 1.4149 13.8671
O 0.7848 1.2680 11.5067
O 2.8631 -2.5709 11.9282
O 3.4796 -1.0287 9.6834
O 1.6963 0.1084 13.8671
O 3.6522 1.1186 8.1692
O 0.7949 3.7650 11.9282
O 2.5834 2.5713 10.4674
```

---

[2]
# MgVCrO4
Theoretical powder diffraction line list, a wavelength of 1.5418 Å. Input: a structure optimized by DFT (PBE+U).

Top 10 peaks for 5 to 70 degrees two-theta, sorted by position:
d (Å)	2θ (°)	intensity
4.922	18.02	100
2.574	34.86	76
2.567	34.95	73
2.461	36.51	15
2.137	42.29	29
2.129	42.47	58
1.645	55.91	19
1.640	56.09	21
1.638	56.15	18
1.508	61.49	74

Structural model:
```
14
Lattice="5.2269 -3.0061 0.0000 5.2269 3.0061 0.0000 -3.4702 0.0000 4.9301" Properties=species:S:1:pos:R:3 pbc="T T T"
Mg 0.0125 0.0000 1.8551
Mg 6.9711 0.0000 3.0750
V 2.6135 1.5031 0.0000
V 2.6135 -1.5031 0.0000
Cr 5.2269 0.0000 0.0000
Cr 3.4918 0.0000 2.4651
O 1.8953 0.0000 1.1887
O 0.0309 0.0000 3.8466
O 4.2991 1.3711 1.1930
O 2.6845 1.3711 3.7371
O 4.2991 -1.3711 1.1930
O 2.6845 -1.3711 3.7371
O 6.9528 0.0000 1.0836
O 5.0883 0.0000 3.7415
```

---

[3]
# CaMn2P4O14
Theoretical powder diffraction line list, a wavelength of 1.5418 Å. Input: a structure optimized by DFT (PBE+U).

Top 10 peaks for 5 to 70 degrees two-theta, sorted by position:
d (Å)	2θ (°)	intensity
9.089	9.73	54
5.822	15.22	25
5.603	15.82	33
4.413	20.12	33
4.002	22.21	29
3.739	23.80	100
3.027	29.51	74
2.911	30.71	57
2.882	31.03	28
2.510	35.77	22

Structural model:
```
21
Lattice="5.1644 0.0000 0.0000 -1.5917 6.0261 0.0000 -1.3660 -2.4276 9.0893" Properties=species:S:1:pos:R:3 pbc="T T T"
Ca 0.0000 0.0000 0.0000
Mn 1.1274 2.1534 3.0799
Mn 2.2871 4.3985 5.4742
P -1.3500 1.5779 5.3274
P -0.3488 4.9567 3.3010
P -0.3562 3.4332 7.4326
P 3.6950 3.0543 1.1141
O -0.3828 1.9989 1.3541
O -1.0362 4.4431 1.9573
O 0.2496 -1.1129 4.4369
O -0.3362 1.6540 4.2053
O -0.0084 -1.7382 7.1913
O -0.6466 2.0139 6.6888
O 1.7288 0.3282 2.9244
O -0.1697 3.1854 8.9141
O 0.8841 4.0604 3.5936
O 2.3375 2.6655 1.7099
O 0.9773 3.9501 6.8657
O 2.5912 2.4962 5.0353
O 2.2157 1.2156 8.8275
O 3.2628 0.1790 5.5736
```

---

[4]
# KScW2O8
Theoretical powder diffraction line list, a wavelength of 1.5418 Å. Input: a structure optimized by DFT (PBE+U).

Top 10 peaks for 5 to 70 degrees two-theta, sorted by position:
d (Å)	2θ (°)	intensity
6.457	13.71	43
5.119	17.32	98
4.161	21.36	32
3.683	24.16	46
3.229	27.63	97
2.990	29.88	100
2.781	32.19	29
2.677	33.47	33
2.151	42.00	36
1.869	48.72	39

Structural model:
```
24
Lattice="5.5116 -5.1194 0.0000 5.5116 5.1194 0.0000 -4.8322 0.0000 5.5614" Properties=species:S:1:pos:R:3 pbc="T T T"
K 1.8875 2.9915 4.1711
K 4.3036 -2.9915 1.3904
Sc 4.3036 2.8563 1.3904
Sc 1.8875 -2.8563 4.1711
W 1.8886 0.0493 1.6574
W -0.5275 -0.0493 4.4381
W 6.7186 0.0493 1.1233
W 4.3025 -0.0493 3.9040
O -1.8463 1.1300 3.9382

Job:
Find the line above that holds "4.2991 1.3711", then return that line and all lines after it there, please.

Written answer:
O 4.2991 1.3711 1.1930
O 2.6845 1.3711 3.7371
O 4.2991 -1.3711 1.1930
O 2.6845 -1.3711 3.7371
O 6.9528 0.0000 1.0836
O 5.0883 0.0000 3.7415
```

---

[3]
# CaMn2P4O14
Theoretical powder diffraction line list, a wavelength of 1.5418 Å. Input: a structure optimized by DFT (PBE+U).

Top 10 peaks for 5 to 70 degrees two-theta, sorted by position:
d (Å)	2θ (°)	intensity
9.089	9.73	54
5.822	15.22	25
5.603	15.82	33
4.413	20.12	33
4.002	22.21	29
3.739	23.80	100
3.027	29.51	74
2.911	30.71	57
2.882	31.03	28
2.510	35.77	22

Structural model:
```
21
Lattice="5.1644 0.0000 0.0000 -1.5917 6.0261 0.0000 -1.3660 -2.4276 9.0893" Properties=species:S:1:pos:R:3 pbc="T T T"
Ca 0.0000 0.0000 0.0000
Mn 1.1274 2.1534 3.0799
Mn 2.2871 4.3985 5.4742
P -1.3500 1.5779 5.3274
P -0.3488 4.9567 3.3010
P -0.3562 3.4332 7.4326
P 3.6950 3.0543 1.1141
O -0.3828 1.9989 1.3541
O -1.0362 4.4431 1.9573
O 0.2496 -1.1129 4.4369
O -0.3362 1.6540 4.2053
O -0.0084 -1.7382 7.1913
O -0.6466 2.0139 6.6888
O 1.7288 0.3282 2.9244
O -0.1697 3.1854 8.9141
O 0.8841 4.0604 3.5936
O 2.3375 2.6655 1.7099
O 0.9773 3.9501 6.8657
O 2.5912 2.4962 5.0353
O 2.2157 1.2156 8.8275
O 3.2628 0.1790 5.5736
```

---

[4]
# KScW2O8
Theoretical powder diffraction line list, a wavelength of 1.5418 Å. Input: a structure optimized by DFT (PBE+U).

Top 10 peaks for 5 to 70 degrees two-theta, sorted by position:
d (Å)	2θ (°)	intensity
6.457	13.71	43
5.119	17.32	98
4.161	21.36	32
3.683	24.16	46
3.229	27.63	97
2.990	29.88	100
2.781	32.19	29
2.677	33.47	33
2.151	42.00	36
1.869	48.72	39

Structural model:
```
24
Lattice="5.5116 -5.1194 0.0000 5.5116 5.1194 0.0000 -4.8322 0.0000 5.5614" Properties=species:S:1:pos:R:3 pbc="T T T"
K 1.8875 2.9915 4.1711
K 4.3036 -2.9915 1.3904
Sc 4.3036 2.8563 1.3904
Sc 1.8875 -2.8563 4.1711
W 1.8886 0.0493 1.6574
W -0.5275 -0.0493 4.4381
W 6.7186 0.0493 1.1233
W 4.3025 -0.0493 3.9040
O -1.8463 1.1300 3.9382